Exercise >
Return the part of the notes further down that starts with the line with "Calculated values" and stops after the one with "2.36-2.42".
Source >
## ErPaOs2 (PBE-GGA)

Data for a relaxed ErPaOs2 crystal.

a = 4.847 Å, b = 4.847 Å, c = 4.847 Å
α = 60.00°, β = 60.00°, γ = 60.00°
Atoms (fractional coordinates):
Er: 0.500 0.500 0.500
Pa: 0.000 0.000 0.000
Os: 0.250 0.250 0.250
Os: 0.750 0.750 0.750

Calculated values
The calculation puts the formation energy from the elements at -5.71 kcal/mol of atoms. The crystal system is cubic.

----------

# 1
GGA-PBE BaSnF6, relaxed; E_tot = -5.23 eV/atom; crystal system = trigonal; calculated density = 4.88 g/cm³; ΔH_f (0 K) = -2621 kJ/mol of formula units; SG = No. 148
1.0
3.804 2.196 2.514
-3.804 2.196 2.514
0.000 -4.392 2.514
Ba Sn F
1 1 6
Cartesian
0.000 0.000 0.000
0.000 0.000 3.770
-0.268 -1.550 2.527
-1.209 1.007 2.527
-1.476 -0.543 5.014
1.476 0.543 2.527
1.209 -1.007 5.014
0.268 1.550 5.014

***

# 2
GGA-PBE BaTbF6, relaxed; size of the total moment = 1.02 μB/f.u.; E_tot = -5.70 eV/atom; crystal system = orthorhombic; calculated density = 5.09 g/cm³; ΔH_f (0 K) = -2924 kJ/mol of formula units; SG = No. 67
1.0
3.990 -6.090 0.000
3.990 6.090 0.000
0.000 0.000 5.509
Ba Tb F
2 2 12
Cartesian
3.990 3.045 5.067
3.990 -3.045 0.442
1.995 0.000 2.755
5.984 0.000 2.755
1.577 1.729 4.162
3.990 5.403 3.772
2.413 1.729 1.347
1.577 -1.729 1.347
2.413 -1.729 4.162
3.990 0.686 3.772
3.990 -0.686 1.738
5.566 1.729 1.347
6.402 1.729 4.162
5.566 -1.729 4.162
3.990 -5.403 1.738
6.402 -1.729 1.347

----------

The following is a GGA-PBE calculation of an optimized crystal structure of Zn4InS6, from the Materials Project database.

Summary:
* mass density: 3.96 g/cm3
* calculated total energy: -3.56 eV/atom
* crystal system: trigonal

Lattice parameters (Å, degrees): 3.8493 3.8493 18.5920 90.00 90.00 120.00
With the nearest neighbours (Å) after each atom.
Space group P-3m1 (No. 164)
Asymmetric unit:
Zn (0.3333, 0.6667, 0.1254) [2 per cell]  4 S 2.34-2.42
Zn (0.3333, 0.6667, 0.7024) [2 per cell]  4 S 2.35-2.36
In (0.0000, 0.0000, 0.5000) [1 per cell]  6 S 2.64
S (0.3333, 0.6667, 0.2554) [2 per cell]  4 Zn 2.36-2.42
S (0.3333, 0.6667, 0.5762) [2 per cell]  1 Zn 2.35
S (0.3333, 0.6667, 0.9145) [2 per cell]  3 Zn 2.34

The following is a GGA-PBE calculation of an optimized crystal structure of Zn2In2S5, from the Materials Project database.

Summary:
* mass density: 4.18 g/cm3
* calculated total energy: -3.78 eV/atom
* energy above the lowest structure with this stoichiometry: 0.000 eV/atom
* crystal system: hexagonal

Lattice parameters (Å, degrees): 3.9214 3.9214 31.0452 90.00 90.00 120.00
With the nearest neighbours (Å) after each atom.
Space group P6_3mc (No. 186)
Asymmetric unit:
Zn (0.3333, 0.6667, 0.0000) [2 per cell]  4 S 2.25-2.42
Zn (0.3333, 0.6667, 0.2562) [2 per cell]  4 S 2.35-2.53
In (0.0000, 0.0000, 0.3794) [2 per cell]  6 S 2.61-2.71
In (0.3333, 0.6667, 0.6087) [2 per cell]  4 S 2.49-2.51
S (0.3333, 0.6667, 0.1424) [2 per cell]  3 In 2.49
S (0.3333, 0.6667, 0.3376) [2 per cell]  1 Zn 2.53, 3 In 2.61
S (0.3333, 0.6667, 0.5279) [2 per cell]  3 Zn 2.42, 1 In 2.51
S (0.3333, 0.6667, 0.7361) [2 per cell]  3 Zn 2.35
S (0.3333, 0.6667, 0.9276) [2 per cell]  1 Zn 2.25

The following is a GGA-PBE calculation of an optimized crystal structure of InSb, from the Materials Project database.

Summary:
* mass density: 6.94 g/cm3
* calculated total energy: -3.40 eV/atom
* crystal system: orthorhombic

Lattice parameters (Å, degrees): 5.9204 5.9380 3.2225 90.00 90.00 90.00
With the nearest neighbours (Å) after each atom.
Space group Pmmn (No. 59, origin choice 2)
Asymmetric unit:
In (0.2500, 0.2500, 0.0088) [2 per cell]  4 Sb 3.09-3.10, 2 In 3.22
Sb (0.2500, 0.7500, 0.2770) [2 per cell]  4 In 3.09-3.10, 2 Sb 3.22

The following is a GGA-PBE calculation of an optimized crystal structure of InSb, from the Materials Project database.

Summary:
* mass density: 6.79 g/cm3
* calculated total energy: -3.41 eV/atom
* crystal system: orthorhombic

Lattice parameters (Å, degrees): 6.1266 6.1627 6.1269 90.00 90.00 90.00
Result >
Calculated values
The calculation puts the formation energy from the elements at -5.71 kcal/mol of atoms. The crystal system is cubic.

----------

# 1
GGA-PBE BaSnF6, relaxed; E_tot = -5.23 eV/atom; crystal system = trigonal; calculated density = 4.88 g/cm³; ΔH_f (0 K) = -2621 kJ/mol of formula units; SG = No. 148
1.0
3.804 2.196 2.514
-3.804 2.196 2.514
0.000 -4.392 2.514
Ba Sn F
1 1 6
Cartesian
0.000 0.000 0.000
0.000 0.000 3.770
-0.268 -1.550 2.527
-1.209 1.007 2.527
-1.476 -0.543 5.014
1.476 0.543 2.527
1.209 -1.007 5.014
0.268 1.550 5.014

***

# 2
GGA-PBE BaTbF6, relaxed; size of the total moment = 1.02 μB/f.u.; E_tot = -5.70 eV/atom; crystal system = orthorhombic; calculated density = 5.09 g/cm³; ΔH_f (0 K) = -2924 kJ/mol of formula units; SG = No. 67
1.0
3.990 -6.090 0.000
3.990 6.090 0.000
0.000 0.000 5.509
Ba Tb F
2 2 12
Cartesian
3.990 3.045 5.067
3.990 -3.045 0.442
1.995 0.000 2.755
5.984 0.000 2.755
1.577 1.729 4.162
3.990 5.403 3.772
2.413 1.729 1.347
1.577 -1.729 1.347
2.413 -1.729 4.162
3.990 0.686 3.772
3.990 -0.686 1.738
5.566 1.729 1.347
6.402 1.729 4.162
5.566 -1.729 4.162
3.990 -5.403 1.738
6.402 -1.729 1.347

----------

The following is a GGA-PBE calculation of an optimized crystal structure of Zn4InS6, from the Materials Project database.

Summary:
* mass density: 3.96 g/cm3
* calculated total energy: -3.56 eV/atom
* crystal system: trigonal

Lattice parameters (Å, degrees): 3.8493 3.8493 18.5920 90.00 90.00 120.00
With the nearest neighbours (Å) after each atom.
Space group P-3m1 (No. 164)
Asymmetric unit:
Zn (0.3333, 0.6667, 0.1254) [2 per cell]  4 S 2.34-2.42
Zn (0.3333, 0.6667, 0.7024) [2 per cell]  4 S 2.35-2.36
In (0.0000, 0.0000, 0.5000) [1 per cell]  6 S 2.64
S (0.3333, 0.6667, 0.2554) [2 per cell]  4 Zn 2.36-2.42